View Full Version : Etihad Airways Terminations......

31st May 2004, 23:42
Hello Everyone,

I have heard from few people of AUH and SHJ that even Etihad Airways has also started firing people without valid reasons.......??? :oh: As I have no source to confirm this news, Is it possible to get this confirmation from someone working for the airline or know the management over there.:confused:



homesick rae
1st Jun 2004, 00:30
I know of one person who was fired and was told "we are not allowed to tell you" when the company were asked for a reason!

4 days later...gone!

1st Jun 2004, 02:00
Well thats one of the downsides of working in the middle east. no job security. You could have all these years in the company and they can tell you to pack your bags any minute.

1st Jun 2004, 05:52
SaudiArabian tried this 'round about 1986...they determined that they had far too many expat pilots, so started not renewing contracts.
It was then noticed that many expats were giving notice, and soon they were short of crew.
So, they started hiring again, which turned the training budget completely upside down.
Generally, not being able to plan beyond next Tuesday is not a way to run an airline efficiently.:yuk:

1st Jun 2004, 09:32
I thought that Etehad was a good company and I know of many ppl working for othe ME airlines in the rejon who went to work for them. Are you sure it is not a rumor? by law they can not just fire you like that for no apparant reason?! I know in the gulf you do not have job security, that is true and that money will buy them whoever they want as they know we are all scrounging for money!!.....I would like to know a bit more about what happened actually from Etehad. I will try to call someone there and enquire about this rumour.


Bangkok Layover
1st Jun 2004, 09:36
Two crew were terminated for very valid reasons.they ve been drinking and forgot to come for SEP exam the following day!

"Demotions" have started to hit the atmospher too.no wonder when they have inexperienced crew in higher grades. Etihad is now considering bringing outsiders on a "brief contract" basis to assist and train its staff.

== Here the text breaks off for quantum chemistry results ==
No. 1
{"formula": "C6H15Cl2PSi", "method": "ωB97M-V/def2-TZVPD", "elements": ["C", "C", "C", "C", "C", "C", "Si", "P", "Cl", "Cl", "H", "H", "H", "H", "H", "H", "H", "H", "H", "H", "H", "H", "H", "H", "H"], "coordinates": [[-1.984, 0.944, -0.204], [-0.507, 0.810, 1.899], [0.366, 1.957, -0.334], [0.418, -1.349, -2.052], [-0.679, -2.339, 0.666], [-0.467, 0.798, 0.197], [0.201, -1.044, -0.220], [4.555, -0.420, -0.069], [2.460, -1.298, 0.527], [4.122, 1.427, 0.393], [-2.509, 0.030, -0.070], [-2.498, 1.721, 0.271], [-1.951, 1.259, -1.288], [-1.419, 0.415, 2.314], [-0.403, 1.814, 2.189], [0.422, 0.274, 2.208], [1.004, 1.597, -1.068], [-0.438, 2.669, -0.670], [0.990, 2.379, 0.426], [1.382, -1.427, -2.541], [-0.269, -2.159, -2.457], [-0.043, -0.381, -2.564], [-0.569, -3.228, 0.123], [-0.497, -2.395, 1.678], [-1.690, -2.055, 0.645]], "mol_weight_da": 217.152}

***

No. 2
{"formula": "C6H15CsNO4S", "method": "ωB97M-V/def2-TZVPD", "elements": ["Cs", "S", "O", "O", "O", "O", "C", "C", "N", "C", "C", "C", "C", "H", "H", "H", "H", "H", "H", "H", "H", "H", "H", "H", "H", "H", "H", "H"], "coordinates": [[-12.641, -9.023, -23.041], [-10.224, -8.830, -22.235], [-11.273, -9.668, -21.735], [-10.328, -7.456, -21.724], [-8.918, -9.098, -21.683], [-10.272, -8.730, -23.686], [-13.194, -13.043, -26.440], [-12.177, -11.907, -26.495], [-11.903, -11.241, -25.243], [-11.265, -12.079, -24.242], [-11.347, -11.467, -22.855], [-11.048, -10.051, -25.583], [-11.819, -8.852, -26.151], [-14.143, -12.726, -26.007], [-12.881, -13.869, -25.802], [-13.346, -13.431, -27.448], [-11.247, -12.296, -26.909], [-12.516, -11.261, -27.305], [-11.506, -13.140, -24.316], [-10.214, -12.159, -24.521], [-11.234, -10.384, -22.815], [-12.267, -11.629, -22.294], [-10.580, -11.837, -22.175], [-10.255, -10.340, -26.273], [-10.548, -9.694, -24.682], [-11.152, -8.002, -26.296], [-12.577, -8.529, -25.437], [-12.352, -9.031, -27.084]], "mol_weight_da": 330.161, "total_charge": -1, "relative_energy_kcal_mol": 202.9}

***

no.,calculated total energy (hartree)
1,-1788.7833
2,-1011.3943

Plus,lots of departments,including "recruitment" are now under flight ops!

2nd Jun 2004, 02:43
please guys stop that,
nobody was fired and i dont know who started this stupid rumour,and next time before getting deeper into a subject make sure that its true .

2nd Jun 2004, 03:48
Superman - to which law, and in which country, are you refering to in regard to not being sacked, "just like that".

Milaaka - this is rumour forum. l don't think l could pronounce the title if it were a factual one.... PPTrNe


Muttley Crew
2nd Jun 2004, 12:20
lots of departments,including "recruitment" are now under flight ops! Good stuff ! ! !

Good to see they have their act together and Flight Ops dishing it out instead of being fed the **** like in most other airlines.....

IF it's true. And I doubt it.

homesick rae
2nd Jun 2004, 13:23

Well, I can assure you that the termination I am talking about happened!

I was in the UAE the day it happened and we were meant to meet up, but couldn't as the person had been summoned into the office.

I then received a call from said person later that day informing me that a period of 4 days had been given to clear their things.

Ar least they were good enough to give a ticket to a destination other than the home country and my mate is now sitting quite happily, new job about to start, but still wondering what the fluff happened?

Smacks of QR this style.

So, Milaaka it has happened.



2nd Jun 2004, 13:27
I was warned about things like this happening in the ME. I would assume its more likely to happen in Qatar than Ethiad

2nd Jun 2004, 13:30
All the guys I know from Canada that went there were lied to by the German Managment, I left right away when I found out.

2nd Jun 2004, 13:32
I would get me a nice lawyer over there and have them write everything on paper, if not I am not interested in working for you sirs! And I would leave.

2nd Jun 2004, 14:03
Yes, that's typical ME for you alright.

Wait till the bombs start going off (heaven forbid) but it could happen, then the mass exit of expats, the expat salaries should go through the roof.

Bangkok Layover
2nd Jun 2004, 19:25

get facts right!

Terminations did take place.

Etihad also had meeting with crew afterwards to discuss as to why the said crew were terminated.

3rd Jun 2004, 07:09

Good idea about the Lawyer and all, but it dont work that way here. Third world stuff remember. All Law firms are paid a retainer by the "government" to keep things "as they want them".
Regarding getting conditions in writing, that dont work either. Your contract aint worth the paper it is written on and can be turned upside down with the stroke of a camel's tail hair. !!

Muttley Crew
3rd Jun 2004, 12:10
Dunno about that Lizard. An ex-pat (middle eastern) ex-hosty was recently awarded AED1million in the Dubai courts from Emirates due to a fumes-related illness claim dating back about 2 years.

capt wan win lo
3rd Jun 2004, 15:16
:( Gee this is terryfying news guys,does'nt speaks well for an airline which appeared to be very benevolent and promising,I'll pass the word around to'beware,be aware and be wary 'of this outfit......cheers!

3rd Jun 2004, 20:09
If it did happen and I dont doubt it....It really smacks of Qatar Airways style....
Maybe they are getting more than just codeshares with eachother but also adopting managment strategies!!!! hehehe!!!!
P.S...Excuse my spelling!!!

3rd Jun 2004, 21:03
Etihad... dont you mean the LTU of AUH?!? If your face doesnt fit or you dont have a german passport you dont have a snowball's of lasting very long. Everyone is really p****d off with the tactics of the german management - nepotism seems to be the order of the day... shame - but must be the new way to run an airline?!:confused:

P.S. dont forget you flak jacket to protect your back!!!

Big Bus Boy
4th Jun 2004, 13:01

These comments are all very interesting, how many of you work for Etihad, not many i would guess, but I do, cant say i've found it like Qatar to much, the pilots here are a small but keen bunch, mostly happy, but then who's happy all the time, its a pilots lot to moan a bit, otherwise why have these forums??
Things are falling into place at Etihad, the people who lost their jobs, all i heard was that they failed the SEP, so is that much different from too many other companies, middle eastern or not?

the only good thing about this thread is that it made me smile, other than that it just not true, sorry!


homesick rae
4th Jun 2004, 15:23
Big Bus Boy:

I cannot comment on the cabin crew, but the person I am talking about worked in another departemnt and IT IS true that this person was sacked and not given a reason. I can even give you the date of termination if you like!!?



Bangkok Layover
5th Jun 2004, 15:17
Big bus boy!!

I truly hope you work there! (without any disrespect ! )

but, I stand by what I wrote! TERMINATIONS DID TAKE PLACE !!

6th Jun 2004, 13:20
Yes well, maybe the Bus Boy is of a particular Germanic breed. ???

6th Jun 2004, 15:48
I work for Etihad, and yes there have been some terminations, as far as I know, the people concerned have been given reasons. Etihad is trying to give a better service than other airlines, and is priding itself on that fact. So they want a "higher standard" of staff. It is a new airline that is trying to offer something different. There will be problems there always are when a new company starts up. I amongst many others enjoy working for them. I am not German either by the way. But the VP, and the HOFO who are, are decent blokes. And I would think that the "owners" are the ones who lay down the law. And unlike most ME airlines the majority of Etihad Offices have European Managers, with experience, and unlike some ME airlines the chairman dosent sack the girls if they have a bad hair day.
And if it was another badly run ME airline how come we dont have chaps and chapess's joining the competion. :hmm:

6th Jun 2004, 15:59
my sentiments exactly loungelizard.Bus Boy seems a little too defensive.perhaps he is in line for a premature upgrading!